# Job
Please say how many lines of the calculation results further below hold the word "zero", as a bare number.
# Input
=====
1.
One molecule with the formula C9H18BN at a distorted geometry, computed with ωB97M-V with the def2-TZVPD basis set.

```
! RIJCOSX wB97M-V def2-TZVPD def2/J DEFGRID3
* xyz 0 1
C 2.02072 -2.07736 -1.25728
B 1.00715 -1.00767 -0.86738
C 1.11887 0.49922 -0.79263
C 2.00685 1.45429 -1.64910
C 0.10331 1.06529 -0.09833
C -0.27751 2.55509 -0.10899
C -0.78794 0.09117 0.61801
C -0.79624 0.41243 2.07648
C -2.14934 0.24876 0.00259
N -0.27940 -1.20805 0.20556
C -0.95757 -2.44518 0.58429
H 3.03377 -1.65047 -1.39799
H 1.92896 -2.69732 -2.09472
H 1.97782 -2.72932 -0.37538
H 1.85584 1.15396 -2.67835
H 3.05921 1.42065 -1.29020
H 1.61497 2.53052 -1.58926
H 0.56040 3.10334 -0.46094
H -0.46824 2.85743 0.95700
H -1.06383 2.66341 -0.81162
H -1.37847 -0.22196 2.61152
H -1.33031 1.40985 2.10623
H 0.30238 0.39343 2.38607
H -2.08752 0.74935 -0.89074
H -2.69176 0.79871 0.66159
H -2.56379 -0.73224 -0.13922
H -1.56839 -2.24918 1.50003
H -1.61339 -2.82767 -0.26883
H -0.15478 -3.20059 0.92572
*
```

Output
HOMO energy (spin up / spin down), eV: -7.92 / -7.92
Relative energy (zero: lowest compared OMol25 entry of this formula, charge and spin), kcal per mole: 26.6
Maximum force, eV/A: 5.43
Electronic energy, eV: -11790.184
Orbital gap (spin up / spin down), eV: 8.555 / 8.555

2.
C9H18CaNO2 as an isolated structure at a distorted geometry, computed with ωB97M-V with the def2-TZVPD basis set.

```
! RIJCOSX wB97M-V def2-TZVPD def2/J DEFGRID3
* xyz 1 1
C -2.45219 -1.10176 -2.73061
C -1.13375 -0.67331 -3.39024
C 0.08901 -1.16706 -2.62532
C 0.54629 -0.18807 -1.54098
C 1.25712 -0.88761 -0.38637
C 1.61428 0.04769 0.76811
C 0.40380 0.42286 1.59639
C 0.66546 1.47990 2.72753
N 0.22186 2.80587 2.38369
C -0.13125 1.00548 3.94544
O 0.53623 0.35126 4.86516
O -1.36533 1.09279 3.90220
H -2.30207 -1.43560 -1.70956
H -3.18485 -0.30609 -2.74075
H -2.89382 -1.92929 -3.27179
H -1.09582 0.40693 -3.45229
H -1.10678 -1.07869 -4.39227
H 0.92084 -1.34782 -3.29634
H -0.13379 -2.11304 -2.13922
H -0.30953 0.37495 -1.17786
H 1.23992 0.53412 -1.96163
H 0.57924 -1.65309 -0.00404
H 2.14850 -1.35922 -0.78100
H 2.06946 0.95584 0.39198
H 2.32456 -0.46912 1.41245
H 0.01226 -0.50569 2.06283
H -0.42283 0.79155 1.00704
H 1.71932 1.50645 2.96828
H 0.78554 3.22388 1.66099
H -0.74591 2.80868 2.10318
Ca 0.14426 -1.59280 3.80499
*
```

Output
HOMO energy, eV: -12.39
Relative energy (zero: lowest compared OMol25 entry of this formula, charge and spin), kcal per mole: 0.0
Maximum force, eV/A: 2.07
Electronic energy, eV: -33642.572
Orbital gap, eV: 6.521

3.
C9H18F3NO6V as an isolated structure at a distorted geometry, computed with ωB97M-V with the def2-TZVPD basis set.

```
! RIJCOSX wB97M-V def2-TZVPD def2/J DEFGRID3
* xyz -1 1
O -2.36325 -11.80594 16.30080
V -1.15811 -12.88076 16.42364
O -0.89058 -13.20214 17.88135
C 2.73480 -12.54447 15.12907
C 1.67570 -11.91885 16.03371
O 0.42333 -12.01515 15.42300
H 3.74142 -12.37191 15.53573
H 2.68771 -12.02532 14.17157
H 2.63715 -13.62702 15.08573
H 1.96193 -10.88407 16.27011
H 1.66938 -12.47937 16.98010
C -2.37367 -15.69013 15.07440
O -2.61390 -16.57324 16.17021
O -1.76367 -14.61117 15.50925
C -1.61355 -16.41098 13.95221
F -1.17330 -15.59321 12.98065
F -0.53983 -17.04921 14.42656
F -2.41892 -17.32524 13.33394
C -3.58388 -17.57241 16.00138
C -3.56973 -18.50324 17.18921
H -4.30110 -19.30336 17.00778
H -2.65731 -19.07948 17.34346
H -3.89533 -17.96452 18.07648
H -3.62135 -18.08652 15.03907
H -4.57869 -17.08281 15.98747
H -3.37116 -15.36601 14.70548
C -1.53523 -9.42284 14.09596
C -1.72204 -10.29643 12.89395
O -2.42231 -10.00014 11.93255
N -1.18328 -11.52570 13.03606
C -1.31064 -12.62807 12.11312
H -0.52891 -9.59119 14.49122
H -2.21228 -9.67376 14.91531
H -1.70393 -8.35768 13.94353
H -0.43095 -11.65020 13.71319
H -1.70771 -12.25988 11.16736
H -1.84231 -13.46682 12.56086
H -0.34009 -13.06669 11.84340
*
```

Output
HOMO energy, eV: -6.17
Maximum force, eV/A: 6.54
Electronic energy, eV: -57243.928
Orbital gap, eV: 9.239

4.
=====
# Written answer
2